Fraudulent activity in healthcare is generally related to insurance, billing, or treatment.
(What comes next are crystal structures, not part of the text)
=====
(1)
Al12W: optimized geometry, PBE.

Calculated values
ΔH_f (0 K) in eV per atom: -0.081
Symmetry: Im-3
Volume in Å³ per cell: 218.5

Cell lengths 6.5719, 6.5719, 6.5719 Å; angles 109.47, 109.47, 109.47 degrees
Fractional coordinates of all 13 atoms:
Al: 0.6915 0.8779 0.1864
Al: 0.8136 0.3085 0.1221
Al: 0.5051 0.8136 0.6915
Al: 0.8136 0.6915 0.5051
Al: 0.4949 0.1864 0.3085
Al: 0.1864 0.6915 0.8779
Al: 0.8779 0.1864 0.6915
Al: 0.1221 0.8136 0.3085
Al: 0.1864 0.3085 0.4949
Al: 0.6915 0.5051 0.8136
Al: 0.3085 0.4949 0.1864
Al: 0.3085 0.1221 0.8136
W: 0.0000 0.0000 0.0000

(2)
ZrAlW4: optimized geometry, PBE.

Calculated values
ΔH_f (0 K) in eV per atom: 0.113
Symmetry: F-43m
Volume in Å³ per cell: 108.1
M_tot in Bohr magnetons per cell: 0.00

Cell lengths 5.3466, 5.3466, 5.3466 Å; angles 60.00, 60.00, 60.00 degrees
Fractional coordinates of all 6 atoms:
Zr: 0.0000 0.0000 0.0000
Al: 0.2500 0.2500 0.2500
W: 0.6245 0.6245 0.1265
W: 0.6245 0.1265 0.6245
W: 0.1265 0.6245 0.6245
W: 0.6245 0.6245 0.6245

(3)
YAl2: optimized geometry, PBE.

Calculated values
ΔH_f (0 K) in eV per atom: -0.531
Symmetry: Fd-3m
Volume in Å³ per cell: 122.3

Cell lengths 5.5718, 5.5718, 5.5718 Å; angles 60.00, 60.00, 60.00 degrees
Fractional coordinates of all 6 atoms:
Y: 0.5000 0.5000 0.5000
Y: 0.2500 0.2500 0.2500
Al: 0.8750 0.8750 0.3750
Al: 0.8750 0.3750 0.8750
Al: 0.3750 0.8750 0.8750
Al: 0.8750 0.8750 0.8750

(4)
Y5Al3: optimized geometry, PBE.

Calculated values
ΔH_f (0 K) in eV per atom: -0.296
Symmetry: Cmcm
Volume in Å³ per cell: 440.7
M_tot in Bohr magnetons per cell: 1.14

Cell lengths 8.8641, 8.8641, 6.4806 Å; angles 90.00, 90.00, 120.07 degrees
Fractional coordinates of all 16 atoms:
Y: 0.6668 0.3332 0.5000
Y: 0.3332 0.6668 0.5000
Y: 0.3332 0.6668 0.0000
Y: 0.6668 0.3332 0.0000
Y: 0.7538 0.7538 0.2500
Y: 0.2462 0.9998 0.2500
Y: 0.9998 0.2462 0.2500
Y: 0.2462 0.2462 0.7500
Y: 0.7538 0.0002 0.7500
Y: 0.0002 0.7538 0.7500
Al: 0.3966 0.3966 0.2500
Al: 0.6035 0.0000 0.2500
Al: 0.0000 0.6035 0.2500
Al: 0.6034 0.6034 0.7500
Al: 0.3965 0.0000 0.7500
Al: 0.0000 0.3965 0.7500

(5)
Y2Al: optimized geometry, PBE.

Calculated values
ΔH_f (0 K) in eV per atom: -0.315
Symmetry: Pnma
Volume in Å³ per cell: 320.7

Cell lengths 5.1150, 6.6068, 9.4911 Å; angles 90.00, 90.00, 90.00 degrees
Fractional coordinates of all 12 atoms:
Y: 0.7500 0.6865 0.4273
Y: 0.2500 0.3135 0.5727
Y: 0.7500 0.1865 0.0727
Y: 0.2500 0.8135 0.9273
Y: 0.7500 0.5272 0.7918
Y: 0.2500 0.4728 0.2082
Y: 0.7500 0.0272 0.7082
Y: 0.2500 0.9728 0.2918
Al: 0.7500 0.2092 0.3963
Al: 0.2500 0.7908 0.6037
Al: 0.7500 0.7092 0.1037
Al: 0.2500 0.2908 0.8963

(6)
=====
(End of the crystal structures)
Insurance fraud occurs when a company or a person cheats an insurance company or state healthcare program. The exact methods can vary since scammers are always inventing new tricks to undermine the law.
In this particular article, we will delve deeper into medical fraud, explore real-life cases, and identify protective measures that can be used to fight and prevent against this type of fraudulent activity.
Medicare fraud
### Next to the text, the page also holds materials data
┌──
MgSi2 after structural relaxation, computed with PBE.

Cell and atoms, written as POSCAR:
```
MgSi2
1.0
-3.9350 0.2640 -3.3893
-1.4584 -3.1067 -0.2001
-4.0369 4.9745 11.1852
Mg Si
4 8
direct
0.1424 0.8704 0.8631 Mg
0.1717 0.1001 0.1060 Mg
0.4919 0.6378 0.2980 Mg
0.1705 0.6253 0.6253 Mg
0.6125 0.3572 0.0821 Si
0.7473 0.6632 0.9520 Si
0.7426 0.3800 0.6704 Si
0.1331 0.4162 0.3884 Si
0.5544 0.1034 0.8007 Si
0.8847 0.8817 0.2353 Si
0.8400 0.1263 0.4594 Si
0.5086 0.8386 0.5197 Si
```

Computed properties:
Crystal system   triclinic
E   -47.31 eV for the cell shown
SG   P1
ΔH_f (0 K)   0.26 eV/atom
└──
### Here the text continues
There are many different forms of Medicare fraud, all of which have the same target — to illegally obtain funds from the Medicare program.
According to researchers, the total Medicare fund reached $500 billion dollars ten years ago, which is projected be doubled in 2020.
Types of Medicare Fraud
- Billing for services not provided. This can involve forging the signature of those enrolled in Medicare or the use of bribes to corrupt medical professionals.
- Upcoding of services and items. Billing Medicare programs for services that are more expensive than the actual service provided. The same type of fraud can occur with medical equipment. A scammer substitutes an item on the bill for a cheaper alternative.
- Duplicate claim. Scammer may change some aspects of the bill like the date or procedure names in an attempt to be paid again for the same case.
- Unbundling. Another method of committing fraud is to split a single service into multiple procedures in the hopes of manipulating the medical compensation system into paying more.
- Excessive or unnecessary services. This type of fraud happens when an excessive amount of services or equipment are billed compared to what is necessary for the patient. For example, fraudsters may file for special care that isn't required, such as full-body tomography billed for a patient with an injured knee.
- Kickbacks. Rewards such as cash, jewelry, free vacations, corporate-sponsored retreats, or other gifts may be used to entice medical professionals into using a particular brand, service, or item. This type of fraud can also impact pharmacists who are given incentives in exchange for dispensing certain brands of medications.
┌──
[1]
# LiHO, optimized geometry, DFT r2SCAN
data_LiHO
_chemical_formula_sum 'Li2 H2 O2'
_space_group_name_H-M_alt 'P 1'
_space_group_IT_number 1
_cell_length_a 4.2795
_cell_length_b 3.4874
_cell_length_c 3.4874
_cell_angle_alpha 90.09
_cell_angle_beta 90.00
_cell_angle_gamma 90.00
loop_
_space_group_symop_operation_xyz
'x,y,z'
loop_
_atom_site_label
_atom_site_fract_x
_atom_site_fract_y
_atom_site_fract_z
Li1 0.0000 0.0000 0.0000
Li2 0.0000 0.5000 0.5000
H1 0.4236 0.4932 0.9932
H2 0.5764 0.9932 0.4932
O1 0.1986 0.4987 0.9987
O2 0.8014 0.9987 0.4987
# Total DFT energy (no corrections) in eV per atom: -5.60
# Spin magnetization in μB per cell: 0.00
# Calculated volume in Å³/atom: 8.674
# Symmetry: No. 39

=====

[2]
# LiUPH8O10, optimized geometry, DFT r2SCAN
data_LiUPH8O10
_chemical_formula_sum 'Li2 U2 P2 H16 O20'
_space_group_name_H-M_alt 'P 1'
_space_group_IT_number 1
_cell_length_a 6.8738
_cell_length_b 6.8738
_cell_length_c 9.0436
_cell_angle_alpha 90.00
_cell_angle_beta 90.00
_cell_angle_gamma 90.00
loop_
_space_group_symop_operation_xyz
'x,y,z'
loop_
_atom_site_label
_atom_site_fract_x
_atom_site_fract_y
_atom_site_fract_z
Li1 0.2500 0.7500 0.0000
Li2 0.7500 0.2500 0.0000
U1 0.2500 0.2500 0.3985
U2 0.7500 0.7500 0.6015
P1 0.2500 0.7500 0.5000
P2 0.7500 0.2500 0.5000
H1 0.0771 0.6669 0.2302
H2 0.0812 0.3938 0.8816
H3 0.1062 0.0812 0.8816
H4 0.1669 0.9229 0.7698
H5 0.3331 0.5771 0.7698
H6 0.3938 0.4188 0.8816
H7 0.4188 0.1062 0.8816
H8 0.4229 0.8331 0.2302
H9 0.5771 0.1669 0.7698
H10 0.5812 0.8938 0.1184
H11 0.6062 0.5812 0.1184
H12 0.6669 0.4229 0.2302
H13 0.8331 0.0771 0.2302
H14 0.8938 0.9188 0.1184
H15 0.9188 0.6062 0.1184
H16 0.9229 0.3331 0.7698
O1 0.0304 0.6948 0.1300
O2 0.0796 0.8052 0.6014
O3 0.1948 0.5796 0.3986
O4 0.1948 0.9696 0.8700
O5 0.2500 0.2500 0.1995
O6 0.2500 0.2500 0.5973
O7 0.3052 0.5304 0.8700
O8 0.3052 0.9204 0.3986
O9 0.4204 0.6948 0.6014
O10 0.4696 0.8052 0.1300
O11 0.5304 0.1948 0.8700
O12 0.5796 0.3052 0.3986
O13 0.6948 0.0796 0.6014
O14 0.6948 0.4696 0.1300
O15 0.7500 0.7500 0.4027
O16 0.7500 0.7500 0.8005
O17 0.8052 0.0304 0.1300
O18 0.8052 0.4204 0.6014
O19 0.9204 0.1948 0.3986
O20 0.9696 0.3052 0.8700
# Total DFT energy (no corrections) in eV per atom: -10.36
# Spin magnetization in μB per cell: 0.00
# Calculated volume in Å³/atom: 10.174
# Symmetry: No. 85

=====

[3]
# Li2SnH14Se3O7, optimized geometry, DFT r2SCAN
data_Li2SnH14Se3O7
_chemical_formula_sum 'Li4 Sn2 H28 Se6 O14'
_space_group_name_H-M_alt 'P 1'
_space_group_IT_number 1
_cell_length_a 7.2676
_cell_length_b 9.4354
_cell_length_c 10.4677
_cell_angle_alpha 77.81
_cell_angle_beta 71.91
_cell_angle_gamma 74.66
loop_
_space_group_symop_operation_xyz
'x,y,z'
loop_
_atom_site_label
_atom_site_fract_x
_atom_site_fract_y
_atom_site_fract_z
Li1 0.0608 0.2604 0.1299
Li2 0.3082 0.9185 0.7809
Li3 0.6918 0.0815 0.2191
Li4 0.9392 0.7396 0.8701
Sn1 0.4032 0.6234 0.3768
Sn2 0.5968 0.3766 0.6232
H1 0.0011 0.4119 0.8993
H2 0.0175 0.4470 0.2892
H3 0.0468 0.1392 0.7183
└──
The data records stop here:
Largest medical fraud case
One of most recent and shocking cases of medical fraud happened to be the largest Medicare fraud case in modern U.S. history.
In 2019, the owner of more than 20 assisted living facilities and skilled nursing homes was discovered to be the leader of a team of fraudsters that had been operating for ten years without detection.
Their scheme was simple. Kickbacks where paid to physicians and hospitals to refer patients to the facilities owned and controlled by the owner, who would in turn bill Medicare for fabricated procedures.
Another technique the group used was to move patients in and out of facilities when the patients reached the maximum number of days allowed by legislation.
The facilities falsified documents stating that the patient underwent treatment.
In 2019, the owner was convicted of numerous charges with sentences that added up to 250 years in prison.
Solutions to stop medical fraud
Countries around the world employ a variety of strategies to detect and prevent medical fraud.
Damages from fraud can be recovered by law and rewards are often offered to individuals for being “whistleblowers."
In 2010, whistleblowers were paid a total of more than $300 million for their active part in bringing cases of medical fraud to light.
Strategies for detecting fraud should be strengthened by technology to ensuring that preventive measures are able to adapt to emerging threats.
Utilizing analytical software with artificial intelligence and inbuilt algorithms can empower organizations to protect themselves against intentional and unintentional fraud by quickly identifying instances of suspicious activity.
Helping businesses protect their budgets and build their reputations as upstanding, corruption-free companies is a top priority for Evinent Analytics, a leading provider of intelligent anti-fraud solutions.